1. Mutleysnuts

    Quick Question

    Crisis ?..........what crisis ?
  2. Mutleysnuts

    Hello all

    Welcome my friend :) It rains very occasionally here too and on the odd day it dosen't we have a hose-pipe ban ! Welcome to the group Steve
  3. Mutleysnuts

    About to pick up my first Landy!

    welcome mate pics would be nice ..........which reminds me i must put one of mine up Steve
  4. Mutleysnuts


    See look what youv'e started Stu .......so its deffo ether a 2 2a or more likely a 3 with metal grille ! Its most certainly not a lightweight and before anyone suggests it's a 101 that shrunk in the wash i think we can rule that out........I am sure you will come to appreciate the pearls of...
  5. Mutleysnuts

    Hi All

    Greetings Mud :)
  6. Mutleysnuts

# Misplaced calculated crystals
'''
A relaxed GaSCl2 crystal. Source: Alexandria via LeMat-Bulk, functional GGA-PBE.

abc: 9.3545 9.3545 4.7169
angles: 90.00 90.00 90.00
Fractional coordinates of all 16 atoms:
Ga (0.0000, 0.0000, 0.0000)
Ga (0.0000, 0.5000, 0.2500)
Ga (0.5000, 0.0000, 0.7500)
Ga (0.5000, 0.5000, 0.5000)
S (0.0000, 0.0000, 0.5000)
S (0.0000, 0.5000, 0.7500)
S (0.5000, 0.0000, 0.2500)
S (0.5000, 0.5000, 0.0000)
Cl (0.0810, 0.7500, 0.1250)
Cl (0.2500, 0.0810, 0.8750)
Cl (0.2500, 0.4190, 0.3750)
Cl (0.4190, 0.7500, 0.6250)
Cl (0.5810, 0.2500, 0.6250)
Cl (0.7500, 0.5810, 0.3750)
Cl (0.7500, 0.9190, 0.8750)
Cl (0.9190, 0.2500, 0.1250)

Results
The energy relative to the lowest polymorph listed for this composition is 0.00 eV/f.u. The calculation puts the formation energy (no corrections) at -0.746 eV/f.u.
'''


    Oh and i think it's a 2A ?....
  7. Mutleysnuts


    Welcome mate i am sure youll get lots o help here and your Landy looks very nice indeed :)
  8. Mutleysnuts

    Cubby Box

    Welcome to you both :D As for a cubby boxes .......well if your'e handy with a jig saw and providing you still have the box you could always have a go at making your own ?....then you can tailor it to your own needs ie cup holders etc ...i made one for my series 3 some years ago and i dont mind...
  9. Mutleysnuts

    Speaker positions ??

    Cheers again excellent job too .........i have changed the head unit to a Dab unit today and all is well that end ill do the rear speakers over the weekend thanks again Steve :)
  10. Mutleysnuts

    Lady Landy Owner (another Kent resident)

    Welome Woo Hoo im a new recruit here myself only just taken delivery of my 90 TD5 last Saturday. For what its worth some close friends of mine have just had a TD5 110 proffesionally re-built annd pro-sprayed and its the biggest pinkest Landy you ever did see .........Yes it's a Landy that is...
  11. Mutleysnuts

    Speaker positions ??

    Thanks for the tip achuakh, I have been thinking about fabbing up something to house the speakers in and having them at the rear at high level as i think too far down will be open to damage and not ideal for the sound quality anyway.I don't suppose you have a picture of the finished article do...
  12. Mutleysnuts

    Speaker positions ??

    Afternoon all, I have just bought a 2003 TD5 90 S.W and want to fit extra speakers in the back. Has anyone else done this and if so where do you recommend putting the speakers as i am finding somwhere to fit them nigh on impossible ? Steve
  13. Mutleysnuts

    Clutching at Claws ?

    :D Cheers Garth i'll raid my piggy bank tomorrow as i'm picking up my TD5 in the morning and when its on the drive thats where i want it to stay ! While i'm on has anyone tried fitting a Dab radio into a Landy yet ?... Steve
  14. Mutleysnuts

    Clutching at Claws ?

    The Loc-king device looks like just what i'm after ........cheers :)
  15. Mutleysnuts

    Clutching at Claws ?

    It' a security clamp it fits across the break and clutch pedals
  16. Mutleysnuts

    Clutching at Claws ?

    Hi all can anyone please point me towards a site where i can actually purchase one o those 'Clutch-Claw' devices ?...i have seen them advertised on several sites, but for the life of me i cant find anywhere that actually states how much they are........or is it just me being thick ? While im on...
  17. Mutleysnuts

    A bar ?

    Can anyone tell me what the legal requirements of fitting an A bar to the front of my TD5 90 are ? I used to have a full wrap around on my series 3, but that was many years ago. Are there specific sizes, materials and shapes ? I am only looking to fit an A bar. Steve :confused:
  18. Mutleysnuts

    new member

    Greetings both, being a newcomer myself i just wanted to say hi and when i collect my TD5 (which can't come soon enough) i too am looking forward to a little off roading. By the way ....with me being a junior member get me in half price anywhere ?:D Steve
  19. Mutleysnuts

    Snorkel or High level air intake ?

    :) Evening folks , this is my second post as i am very much a newcomer to this site however i have question that may have been asked on many occassion,but i have started so i'll finish. I am about to collect a 2003 TD5 and for no other reason than looks i would like to fit a high level air...
  20. Mutleysnuts

    Hello Folks !

    Hi all, Just wanted to say hello and introduce myself. I have this very day ignored all what seems common sense and bought myself a new ( well new to me anyway ) a Defender TD5 90 County and to say i cant wait until the dealership say i can fetch her the better. I used to have a series 3 in the...